What is needed: work out how many lines underneath have the word "Data" in them; a number is enough.

-- begin --
## Fe2AgI (PBEsol)

Data for a relaxed Fe2AgI crystal.

Values from the calculation:
The space-group type is Fm-3m, No. 225. The calculation puts the volume at 15.73 A^3/atom. The calculation puts the magnetization at 4.8 μB/cell. The final energy is -19.7 eV/cell. The uncorrected formation energy is 0.835 eV/atom. As for the crystal system: cubic.

Cell lengths 4.465, 4.465, 4.465 Å; angles 60.00, 60.00, 60.00 degrees
Positions (direct):
Fe: 0.750 0.750 0.750
Fe: 0.250 0.250 0.250
I: 0.500 0.500 0.500
Ag: 0.000 0.000 0.000

***

## FeAgIN2 (PBEsol)

Data for a relaxed FeAgIN2 crystal.

Values from the calculation:
As for the relative energy among the computed polymorphs: 1.081 eV/atom. The space-group type is P4/mmm, No. 123. The calculation puts the volume at 19.96 A^3/atom. The calculation puts the magnetization at 6.4 μB/cell. The final energy is -21.1 eV/cell. The uncorrected formation energy is 1.996 eV/atom. As for the crystal system: tetragonal.

Cell lengths 3.935, 3.935, 6.445 Å; angles 90.00, 90.00, 90.00 degrees
Positions (direct):
Fe: 0.500 0.500 0.500
I: 0.000 0.000 0.500
N: 0.500 0.000 0.000
N: 0.000 0.500 0.000
Ag: 0.000 0.000 0.000

***

## FeAgIN2 (PBEsol)

Data for a relaxed FeAgIN2 crystal.

Values from the calculation:
As for the relative energy among the computed polymorphs: 0.000 eV/atom. The space-group type is P4/mmm, No. 123. The calculation puts the volume at 15.41 A^3/atom. The calculation puts the magnetization at 0.0 μB/cell. The final energy is -26.5 eV/cell. The uncorrected formation energy is 0.915 eV/atom. As for the crystal system: tetragonal.

Cell lengths 3.698, 3.698, 5.634 Å; angles 90.00, 90.00, 90.00 degrees
Positions (direct):
Ag: 0.500 0.500 0.500
Fe: 0.000 0.000 0.000
N: 0.000 0.500 0.000
N: 0.500 0.000 0.000
I: 0.000 0.000 0.500

***

## FeAgSbI2 (PBEsol)

Data for a relaxed FeAgSbI2 crystal.

Values from the calculation:
The space-group type is P4/mmm, No. 123. The calculation puts the volume at 32.14 A^3/atom. The calculation puts the magnetization at 3.7 μB/cell. The final energy is -15.1 eV/cell. The uncorrected formation energy is 1.060 eV/atom. As for the crystal system: tetragonal.

Cell lengths 5.384, 5.463, 5.463 Å; angles 90.00, 90.00, 90.00 degrees
Positions (direct):
Sb: 0.500 0.000 0.000
Ag: 0.000 0.000 0.000
Fe: 0.500 0.500 0.500
I: 0.000 0.500 0.000
I: 0.000 0.000 0.500

***

## InFeAg (PBEsol)

Data for a relaxed InFeAg crystal.

Values from the calculation:
As for the relative energy among the computed polymorphs: 0.422 eV/atom. The space-group type is F-43m, No. 216. The calculation puts the volume at 19.65 A^3/atom. The calculation puts the magnetization at 2.7 μB/cell. The formation energy from the elements comes out at 0.69 eV/atom. The final energy is -13.2 eV/cell. As for the crystal system: cubic.

Cell lengths 4.368, 4.368, 4.368 Å; angles 60.00, 60.00, 60.00 degrees
Positions (direct):
Ag: 0.000 0.000 0.000
In: 0.250 0.250 0.250
Fe: 0.500 0.500 0.500

***

## InFeAg (PBEsol)

Data for a relaxed InFeAg crystal.

Values from the calculation:
As for the relative energy among the computed polymorphs: 0.000 eV/atom. The space-group type is I4mm, No. 107. The calculation puts the volume at 16.28 A^3/atom. The calculation puts the magnetization at 2.6 μB/cell. The formation energy from the elements comes out at 0.27 eV/atom. The final energy is -14.5 eV/cell. As for the crystal system: tetragonal.

Cell lengths 2.915, 2.915, 6.106 Å; angles 103.81, 103.81, 90.00 degrees
Positions (direct):
In: 0.675 0.675 0.351
Fe: 0.336 0.336 0.672
Ag: 0.989 0.989 0.977

~~~~~

1.
# TiTlS2 GGA-PBE optimized geometry
data_TiTlS2
_space_group_name_H-M_alt 'P 1'
_space_group_IT_number 1
_cell_length_a 4.7817
_cell_length_b 4.7817
_cell_length_c 3.3668
_cell_angle_alpha 90.00
_cell_angle_beta 90.00
_cell_angle_gamma 90.00
loop_
_space_group_symop_operation_xyz
'x,y,z'
loop_
_atom_site_label
_atom_site_fract_x
_atom_site_fract_y
_atom_site_fract_z
Ti1 0.0000 0.0000 0.0000
-- stop --

6